### What to do
What is needed: search the contents further below for the word "O2" and give back each line that has it.

### Material
Entry 1:
Calculated powder X-ray diffraction pattern
Compound: SrHgPb2F8
Radiation: Cu Kα X-rays
Structure: a structure optimized by DFT (GGA-PBE)
Peak positions follow from Bragg's law for the DFT cell and can differ from measured ones.

Main lines, sorted by position (15° ≤ 2θ ≤ 90°):
(1 1 0), 26.29 deg, 3.389 Å, I 100; (0 2 0), 30.34 deg, 2.946 Å, I 10; (1 0 2), 30.51 deg, 2.930 Å, I 20; (2 0 0), 43.57 deg, 2.077 Å, I 49; (1 3 0), 51.50 deg, 1.775 Å, I 16; (2 1 2), 51.64 deg, 1.770 Å, I 16; (1 1 4), 51.78 deg, 1.766 Å, I 16; (3 1 0), 69.74 deg, 1.348 Å, I 10

Structural model:
a b c (Å): 4.1530 5.8915 8.2694
angles (deg): 90.00 90.00 90.00
Space group Pmmm (No. 47)
One atom of each set of equivalent atoms:
Sr1 0.0000 0.0000 0.0000
Hg1 0.0000 0.0000 0.5000
Pb1 0.5000 0.5000 0.2554
F1 0.0000 0.2414 0.2569
F2 0.5000 0.2383 0.5000
F3 0.5000 0.2454 0.0000

=====

Entry 2:
Calculated powder X-ray diffraction pattern
Compound: Sm4Cd5Cu2
Radiation: Cu Kα X-rays
Structure: a structure optimized by DFT (GGA-PBE)
Peak positions follow from Bragg's law for the DFT cell and can differ from measured ones.

Main lines, sorted by position (15° ≤ 2θ ≤ 90°):
(1 1 -2), 32.16 deg, 2.783 Å, I 100; (1 1 2), 33.11 deg, 2.706 Å, I 87; (2 1 0), 33.72 deg, 2.658 Å, I 68; (2 1 1), 35.45 deg, 2.532 Å, I 61; (0 1 3), 36.95 deg, 2.433 Å, I 55; (2 0 3), 37.60 deg, 2.392 Å, I 48; (2 1 -2), 37.79 deg, 2.381 Å, I 49; (1 1 5), 55.48 deg, 1.656 Å, I 45

Structural model:
a b c (Å): 7.6810 3.6903 9.7392
angles (deg): 90.00 94.02 90.00
Space group P2/m (No. 10)
One atom of each set of equivalent atoms:
Sm1 0.1666 0.0000 0.3582
Sm2 0.2361 0.0000 0.9430
Cd1 0.1853 0.5000 0.6545
Cd2 0.4428 0.5000 0.1880
Cd3 0.5000 0.5000 0.5000
Cu1 0.0604 0.5000 0.1281

=====

Entry 3:
Calculated powder X-ray diffraction pattern
Compound: CaPa2O7
Radiation: Cu Kα X-rays
Structure: a structure optimized by DFT (GGA-PBE)
Peak positions follow from Bragg's law for the DFT cell and can differ from measured ones.

Main lines, sorted by position (15° ≤ 2θ ≤ 90°):
(0 0 2), 17.11 deg, 5.182 Å, I 66; (0 0 3), 25.79 deg, 3.455 Å, I 29; (0 1 0), 26.38 deg, 3.379 Å, I 22; (1 0 1), 27.66 deg, 3.225 Å, I 100; (1 1 -1), 28.21 deg, 3.164 Å, I 39; (0 1 -2), 31.83 deg, 2.811 Å, I 29; (0 1 3), 36.93 deg, 2.434 Å, I 25; (2 1 0), 46.80 deg, 1.941 Å, I 26

Structural model:
a b c (Å): 3.8834 3.8840 10.3694
angles (deg): 88.51 88.56 60.47
Space group P-1 (No. 2)
One atom of each set of equivalent atoms:
Ca1 0.0000 0.0000 0.0000
Pa1 0.3478 0.3501 0.7064
O1 0.0087 0.0107 0.7542
O2 0.3106 0.3079 0.3713
O3 0.3374 0.3384 0.9028
O4 0.5000 0.5000 0.5000

=====

Entry 4:
Calculated powder X-ray diffraction pattern
Compound: Nd8Al
Radiation: Cu Kα X-rays
Structure: a structure optimized by DFT (GGA-PBE)
Peak positions follow from Bragg's law for the DFT cell and can differ from measured ones.

Main lines, sorted by position (15° ≤ 2θ ≤ 90°):
(3 0 1), 30.47 deg, 2.934 Å, I 100; (3 3 0), 35.05 deg, 2.560 Å, I 34; (0 0 2), 35.86 deg, 2.504 Å, I 16; (6 0 0), 50.42 deg, 1.810 Å, I 12; (3 3 2), 51.02 deg, 1.790 Å, I 23; (6 3 1), 60.06 deg, 1.540 Å, I 27; (3 0 3), 61.13 deg, 1.516 Å, I 14; (6 0 2), 63.41 deg, 1.467 Å, I 12

Structural model:
a b c (Å): 10.8604 10.8604 5.0083
angles (deg): 90.00 90.00 90.00
Space group I4/mmm (No. 139)
One atom of each set of equivalent atoms:
Nd1 0.0000 0.3279 0.0000
Nd2 0.1582 0.1582 0.5000
Al1 0.0000 0.0000 0.0000

=====

Entry 5:
Calculated powder X-ray diffraction pattern
Compound: Nb2IBr4
Radiation: Cu Kα X-rays
Structure: a structure optimized by DFT (GGA-PBE)
Peak positions follow from Bragg's law for the DFT cell and can differ from measured ones.

Main lines, sorted by position (15° ≤ 2θ ≤ 90°):
(1 1 1), 15.23 deg, 5.817 Å, I 35; (1 3 1), 20.43 deg, 4.348 Å, I 52; (2 4 0), 23.52 deg, 3.783 Å, I 37; (1 5 1), 28.14 deg, 3.171 Å, I 100; (2 0 2), 29.15 deg, 3.064 Å, I 73; (3 5 1), 34.26 deg, 2.617 Å, I 69; (1 3 3), 42.36 deg, 2.134 Å, I 44; (7 1 1), 50.67 deg, 1.802 Å, I 36

### Reply
O2 0.3106 0.3079 0.3713